“The Diogenes Club is
the queerest club in London, and Mycroft is one of the queerest men.”
--Sherlock Holmes, “The Greek Interpreter”
If I had to pick one Sherlock
Holmes story that didn't quite fit with the rest of them, it would be this one.
Don't take this as a bad thing because this is one of my favorites. It just
seems so DARK compared to the rest of the canon. Sure, the canon deals with
murders and missing fiancés and eventually a jellyfish (we'll get to that
eventually) but this one. This one is different. It's like all of the darkest
things from all the other stories combined into one (minus the jellyfish.) We
have deception, kidnapping and imprisonment of three people, and eventually two
stabbings. If that isn't a turn for the more sinister, I don't know what is.
And to top it all off, we get to meet Mycroft Holmes, Sherlock's
older brother. I quite enjoyed the introduction of his character because even
Watson was like, "Dude, I thought you were an only child and an orphan.
What the heck." And if I recall correctly, this is the most we learn about
the Holmes clan ever. (This of course excludes highly regarded, yet
non-canonical biographies.) ACD's original description of Sherlock Holmes
paints a man who is smart and uncharismatic and a bit on the ugly side (Not
many men can pull off a "hawk-like nose and still be called "sexy.).
Mycroft is described as worse in every aspect except the nose bit. He's round
and lazy and smarter but also just as callus, if not more so.
Hush you. |
But my big
question right now: Why introduce Mycroft at all? We are a good portion of the
way through the canon and Holmes' family members have never been mentioned
before, so why now?
Austin: Welcome
back Florida Traveler!
So why introduce Mycroft? It has to be avoiding staleness. As we get
further into Memoirs, that means we are getting closer to Doyle throwing
up his hands and saying he's done with Sherlock Holmes. (Spoiler: He's not.)
Doyle was very smart in being vague with Sherlock's background because that
means whenever he wishes he can add to that backstory. There is nothing to
contradict and Sherlock's personality allows for that mysterious element to
play out.
I've been used to a number of cinematic Mycrofts and none of them
are really played off as ugly. This one is rather large, strange and unappealing.
His laziness is strongly criticized by Sherlock and Watson. It's almost like
the story is saying "This guy is even smarter than Sherlock, but but but
he's lame. You don't want to hang out with him. Hang out with Sherlock! You
like Sherlock!" The competition element is inherent with them which means
we get a very fun ping-pong observation dialog between Sherlock and Mycroft
much like we saw in The House of Silk.
"Quiet Sherlock. Your thinking is annoying me." "I'm going to use that." |
This dynamic is
very fun to watch but like all Doyle stories, that now needs to take a back
seat because a new character needs to walk in and give an absurdly long
backstory monologue. Was that jarring for you? Or was this story worthy to cut
away from Sherlock and Mycroft messing with each other?
Leigh: It's hot.
And humid. I'm schvitzing all over the place.
I have to agree about the staleness. ACD famously wrote to his
mother a lot and often complained about Sherlock Holmes and how he just wanted
to write historical fiction. (A good portion of ACD's letters were compiled
into a book called Arthur Conan Doyle: A
Life in Letters which is a really good read if you enjoy that kind of
thing.) And we have mentioned a little before that some of the stories seem a
little repetitive. So what is the best way to add something new to a played out
format? Add an obscure relative of course.
"What do you mean? I've always been here." |
But most importantly, did it work? I think
so. Definitely so. I absolutely love the competition between the two as a
competitive elder sister to a competitive younger brother. It's something
that's familiar to me and gives us some proof that Holmes is human and not just
an automaton. Sibling rivalry is something that many can relate to and if
written correctly can be really fun.
Of all of the stories that had lots of backstory, this is the one
that I minded it least in. (Please ignore that incredibly awkward sentence.) It
didn't take up 3/4 of the story like others have (or have felt like) and
instead gives us details that we kinda do need to know to get to the rest of
## Attached: records of crystals
........
# 1
Simulated X-ray diffraction stick pattern
Compound: ZrCoNF2
Radiation: Cu Ka
Structure: a DFT-relaxed cell (PBE+U, Alexandria)
Neutral-atom scattering factors, no anomalous dispersion.

Atomic structure:
a b c (Å): 4.2004 4.2004 4.2459
angles (deg): 90.00 90.00 90.00
Space group P4/mmm (No. 123)
Inequivalent atoms, fractional coordinates:
1 Zr 0.0000 0.0000 0.0000
2 Co 0.5000 0.5000 0.5000
3 N 0.0000 0.0000 0.5000
4 F 0.0000 0.5000 0.0000

Most intense lines, 2θ = 10–80°, most intense first:
two_theta  d_spacing  Rel. int.
29.9  2.986  1000
30.1  2.970  412
53.3  1.718  386
43.1  2.100  380
62.2  1.493  227
42.6  2.123  197
53.0  1.727  163
70.9  1.329  147
21.2  4.200  129
62.5  1.485  111
78.6  1.217  106
20.9  4.246  102


# 2
Simulated X-ray diffraction stick pattern
Compound: AlFeIrO6
Radiation: Cu Ka
Structure: a DFT-relaxed cell (PBE+U, Alexandria)
Neutral-atom scattering factors, no anomalous dispersion.

Atomic structure:
a b c (Å): 4.9636 4.9636 8.7063
angles (deg): 90.00 90.00 120.00
Space group P-31c (No. 163)
Inequivalent atoms, fractional coordinates:
1 Al 0.3333 0.6667 0.2500
2 Fe 0.0000 0.0000 0.0000
3 Ir 0.3333 0.6667 0.7500
4 O 0.0072 0.3487 0.1312

Most intense lines, 2θ = 10–80°, most intense first:
two_theta  d_spacing  Rel. int.
23.1  3.854  1000
29.2  3.059  847
56.2  1.636  469
36.2  2.482  432
41.9  2.156  342
20.4  4.353  324
37.4  2.405  312
47.2  1.927  219
43.4  2.087  212
60.9  1.522  203
65.1  1.433  184
57.7  1.597  181


Repeat the second record exactly.
Simulated X-ray diffraction stick pattern
Compound: AlFeIrO6
Radiation: Cu Ka
Structure: a DFT-relaxed cell (PBE+U, Alexandria)
Neutral-atom scattering factors, no anomalous dispersion.

Atomic structure:
a b c (Å): 4.9636 4.9636 8.7063
angles (deg): 90.00 90.00 120.00
Space group P-31c (No. 163)
Inequivalent atoms, fractional coordinates:
1 Al 0.3333 0.6667 0.2500
2 Fe 0.0000 0.0000 0.0000
3 Ir 0.3333 0.6667 0.7500
4 O 0.0072 0.3487 0.1312

Most intense lines, 2θ = 10–80°, most intense first:
two_theta  d_spacing  Rel. int.
23.1  3.854  1000
29.2  3.059  847
56.2  1.636  469
36.2  2.482  432
41.9  2.156  342
20.4  4.353  324
37.4  2.405  312
47.2  1.927  219
43.4  2.087  212
60.9  1.522  203
65.1  1.433  184
57.7  1.597  181


For KMo12S14, a DFT-relaxed cell (GGA-PBE, Alexandria) gives the theoretical powder XRD pattern in this record (λ = 1.5418 Å (Cu Kα)).
Kinematic intensities with the Lorentz-polarization factor, no thermal factor.

Cell and atoms:
a = 9.264 Å, b = 9.264 Å, c = 16.469 Å
α = 90.00°, β = 90.00°, γ = 120.00°
Fractional positions:
K 0.333 0.667 0.250
K 0.667 0.333 0.750
Mo 0.158 0.505 0.958
Mo 0.158 0.653 0.542
Mo 0.165 0.496 0.684
Mo 0.165 0.669 0.816
Mo 0.331 0.496 0.816
Mo 0.331 0.835 0.684
Mo 0.347 0.505 0.542
Mo 0.347 0.842 0.958
Mo 0.495 0.653 0.958
Mo 0.495 0.842 0.542
Mo 0.496 0.165 0.184
Mo 0.496 0.331 0.316
Mo 0.504 0.669 0.684
Mo 0.504 0.835 0.816
Mo 0.505 0.158 0.458
Mo 0.505 0.347 0.042
Mo 0.653 0.158 0.042
Mo 0.653 0.495 0.458
........
the mystery. This is also the first one in a while that actually felt more like
a mystery instead of just sitting around and listening to stories or reading
the newspaper. This one seemed exciting and different! And not just because of
the addition of Mycroft, although I could easily read a whole book of just
Sherlock and Mycroft sitting in a room talking to each other about everything.
I also liked that we had bad guys who weren't from America or had spent time in
India but were actually British. It was a nice change of pace to what we've
been reading.
But it sounds
like you don't like it? Why? Why must you hate everything I love? /melodrama
"This is how Leigh submits her half of the blog." |
Austin: Because
you love terrible things!
No, I don't hate this one. I just feel that I keep looking at this
anthology in a misguided light. I look at it like a season of television and
it's wrong to judge such an early outing of the genre in such regards. Yet,
perhaps some of it is allowed in storytelling sense. In this story we introduce
Mycroft Holmes. His way into the narrative is that he has a client for
Sherlock. Then the client appears and it's just like every Sherlock Holmes
case. This client just happens to be a neighbor of Mycroft. This case isn't
very Mycroft-y, whatever that could mean.
Then it becomes into the routine I have with all of Doyle's stories.
The backstory narration is problematic for me and then I get back into it when
it's in present day. I rather enjoyed that aspect of this story because it had
a chilly element to it, a bit of a horror feel. Also we have Mycroft tagging
along, which didn't add to a whole not but got him out of the chair.
Since I'm now going through the rest of these stories for the first
time, I don't know if Mycroft pops up again but I hope he does. I don't want
him to be an Irene Adler--an amazing foil for Sherlock Holmes and then
disappears into that good night.
We'll find out soon! But reading this story made me throw an
audible. (It's a football term, Leigh. I'll explain later.) Reading about
Mycroft's laziness made me think of a different interpretation of that
character, one that uses that element in a different way. So we're watching an
episode of Monk! Now Monk is not a direct adaptation, but the similiarites are
there. In Season Two, we meet his smarter older brother in an episode called
"Mr. Monk and the Three Pies." You can find the episode on Netflix
Instant, Amazon Instant, and any number of places. Do join us.
And here is
Leigh Montano with the final word...
Leigh: Opa!